(Brief)
It remains to echo only the lines further down with the word "xyz" in them.
(Data)
=====
# 1
This record from the OMol25 dataset describes a structure of composition C7H21GaIN4O3. The level of theory is wB97M-V/def2-TZVPD.

Output
- E_tot: -80181.2885 eV
- Maximum force: 0.013 Eh/bohr
- HOMO level: -4.85 eV

The geometry in ORCA input format:
```
! wB97M-V def2-TZVPD RIJCOSX def2/J DEFGRID3
* xyz -1 1
I 2.53989 -0.22430 -0.28401
Ga -1.64179 -3.67587 -0.61962
O -1.46014 -1.99507 2.17174
O -2.07848 2.09208 3.95448
O 5.46600 3.23052 -0.59615
N -2.05849 3.72514 2.38367
N -1.46836 1.56350 1.82962
N 5.89545 4.13858 -2.62698
N 4.32849 2.45641 -2.40556
C -2.99986 -3.47031 0.91074
C 0.76682 -1.46909 -0.36822
C -2.81917 -2.18952 1.72110
C -1.87763 2.42481 2.79776
C -1.46320 -1.82915 -1.51541
C -0.06983 -1.17382 -1.60966
C 5.23827 3.26465 -1.79092
H -2.19490 -4.79779 -1.65481
H -1.87300 -1.91116 -2.53134
H -3.49030 -2.14199 2.59536
H 0.21534 -1.28105 0.55325
H 4.15033 2.48873 -3.39048
H -3.05962 -1.31511 1.10237
H -1.30273 1.84277 0.88184
H -1.33930 0.59393 2.07867
H -1.89331 4.03164 1.44494
H 3.81189 1.79369 -1.85020
H 5.73089 4.18967 -3.61318
H -0.15751 -0.08218 -1.72763
H 1.15400 -2.48424 -0.35673
H -2.93412 -4.34290 1.57698
H -0.25166 -4.22879 -0.01071
H -1.40863 -2.24378 3.08600
H -4.00536 -3.44258 0.46912
H -2.35597 4.38675 3.07344
H 6.57196 4.74668 -2.20845
H 0.45620 -1.53264 -2.50296
H -2.12217 -1.13820 -0.96805
*
```

=====

# 2
This record from the OMol25 dataset describes a cluster of 7 separate species, C7H21N7O14 in total at a distorted geometry. The level of theory is wB97M-V/def2-TZVPD.

Output
- E_tot: -46673.9820 eV
- Maximum force: 0.093 Eh/bohr
- HOMO level: -10.55 eV
- ΔE to the lowest compared entry with this formula, charge and spin: 1.9302 eV
- SMILES string: C[N+](=O)[O-].C[N+](=O)[O-].C[N+](=O)[O-].C[N+](=O)[O-].C[N+](=O)[O-].C[N+](=O)[O-].C[N+](=O)[O-]

The geometry in ORCA input format:
```
! wB97M-V def2-TZVPD RIJCOSX def2/J DEFGRID3
* xyz 0 1
O -1.53830 -1.26067 -3.33752
O -2.64083 5.22660 1.05454
O 3.75906 3.31948 0.88152
O 2.57072 -0.66896 1.16754
O -0.75164 4.70284 0.45916
O -0.23807 -1.09736 3.55553
O -3.11992 -4.40484 1.07598
O -2.89056 -5.51413 -0.70102
O 0.42444 -0.45306 -1.02089
O -1.59903 -0.10193 -0.15601
O -2.03058 -1.78517 2.51176
O -3.07120 -2.87910 -3.49700
O 3.42635 2.65512 -1.14624
O 4.49311 0.13689 0.82447
N -1.81787 5.07481 0.17639
N -1.11436 -1.94478 3.30552
N 3.56517 -0.54903 0.56143
N -2.66875 -1.76216 -3.18158
N 4.10478 2.99392 -0.20267
N -0.32292 0.17509 -0.21620
N -2.62468 -4.54187 -0.01926
C 5.59201 3.09801 -0.40362
C 3.58697 -1.31663 -0.70287
C -1.13139 -3.19811 4.09726
C 0.22933 1.23266 0.66407
C -1.57927 -3.56340 -0.35446
C -2.32481 5.14333 -1.25474
C -3.60690 -0.85251 -2.48040
H -1.53061 -2.93240 5.07610
H 4.56178 -1.58010 -1.11328
H 3.08361 -2.27356 -0.56497
H -0.63483 -3.74491 0.15855
H -3.03460 5.96654 -1.33622
H -0.09775 -3.44319 4.34145
H 5.72263 2.75032 -1.42839
H -3.08733 0.00882 -2.06058
H 3.04004 -0.70605 -1.42131
H 0.59342 0.75947 1.57601
H 5.78338 4.14265 -0.15823
H 6.02944 2.31056 0.21012
H -4.51496 -0.61578 -3.03493
H 1.14621 1.58194 0.18928
H -1.43719 5.49199 -1.78263
H -3.83020 -1.49240 -1.62672
H -0.61701 1.89817 0.83408
H -1.69382 -4.00032 3.61951
H -2.67605 4.19822 -1.66886
H -2.00628 -2.61451 -0.02984
H -1.48075 -3.57070 -1.43997
*
```

=====

# 3
This record from the OMol25 dataset describes a structure of composition C7H21NO3P2V at a distorted geometry. The level of theory is wB97M-V/def2-TZVPD.

Output
- E_tot: -59484.3042 eV
- Expectation value of S²: 2.048
- Maximum force: 0.172 Eh/bohr
- HOMO level (alpha / beta): -12.78 / -12.77 eV
- ΔE to the lowest compared entry with this formula, charge and spin: 1.5677 eV

The geometry in ORCA input format:
```
! wB97M-V def2-TZVPD RIJCOSX def2/J DEFGRID3
* xyz 1 3
V 0.02477 -0.07261 -0.06395
P -0.13604 2.29699 -0.30215
P -0.12474 -2.38021 -0.28419
O 2.75106 -0.05081 1.53636
O 0.31371 1.19385 1.89625
O 0.24712 -0.27910 3.43934
N 0.40021 0.88314 3.12834
C -1.55710 -3.28887 0.42162
=====
(Done)
* xyz -1 1
* xyz 0 1
* xyz 1 3